-- File --
<<<
one.
The following is a DFT calculation (PBE) of a relaxed ScB2F crystal.

Calculated values
For the spin magnetization, the calculation gives 0.000 μB/atom. The space group is I-42d (122).

a = 7.777 Å, b = 7.777 Å, c = 5.790 Å
α = 47.81°, β = 47.81°, γ = 90.00°
Sites, in units of the cell vectors:
Sc (0.000, 0.000, 0.000)
Sc (0.750, 0.250, 0.500)
B (0.635, 0.125, 0.250)
B (0.115, 0.625, 0.250)
B (0.375, 0.365, 0.750)
B (0.875, 0.885, 0.750)
F (0.500, 0.500, 0.000)
F (0.250, 0.750, 0.500)



two.
The following is a DFT calculation (PBE) of a relaxed ScB2F crystal.

Calculated values
For the spin magnetization, the calculation gives 0.000 μB/atom. The space group is Fm-3m (225).

a = 4.082 Å, b = 4.082 Å, c = 4.082 Å
α = 60.00°, β = 60.00°, γ = 60.00°
Sites, in units of the cell vectors:
Sc (0.500, 0.500, 0.500)
B (0.250, 0.250, 0.250)
B (0.750, 0.750, 0.750)
F (0.000, 0.000, 0.000)



Most stable to least stable, the ends of the list are one and two.

* * * * *

1) Material: ZrNbTc
Method: DFT, GGA-PBE
State: optimized geometry

```
data_ZrNbTc
_chemical_formula_sum 'Zr2 Nb2 Tc2'
_cell_length_a 7.481
_cell_length_b 7.481
_cell_length_c 7.481
_cell_angle_alpha 34.32
_cell_angle_beta 34.32
_cell_angle_gamma 34.32
_space_group_name_H-M_alt 'P 1'
_space_group_IT_number 1
_space_group_name_Hall 'P 1'
loop_
_atom_site_label
_atom_site_fract_x
_atom_site_fract_y
_atom_site_fract_z
_atom_site_occupancy
Zr1 0.211 0.211 0.211 1
Zr2 0.789 0.789 0.789 1
Nb1 0.365 0.365 0.365 1
Nb2 0.635 0.635 0.635 1
Tc1 0.066 0.066 0.066 1
Tc2 0.934 0.934 0.934 1
```

Calculated values
The density comes out at 7.89 g/cm³.

2) Material: ZrNbTc
Method: DFT, GGA-PBE
State: optimized geometry

```
data_ZrNbTc
_chemical_formula_sum 'Zr4 Nb4 Tc4'
_cell_length_a 4.728
_cell_length_b 3.283
_cell_length_c 14.028
_cell_angle_alpha 90.00
_cell_angle_beta 90.00
_cell_angle_gamma 90.00
_space_group_name_H-M_alt 'P 1'
_space_group_IT_number 1
_space_group_name_Hall 'P 1'
loop_
_atom_site_label
_atom_site_fract_x
_atom_site_fract_y
_atom_site_fract_z
_atom_site_occupancy
Zr1 0.000 0.000 0.000 1
Zr2 0.000 0.500 0.500 1
Zr3 0.500 0.000 0.165 1
Zr4 0.500 0.500 0.665 1
Nb1 0.000 0.000 0.320 1
Nb2 0.000 0.500 0.820 1
Nb3 0.500 0.000 0.478 1
Nb4 0.500 0.500 0.978 1
Tc1 0.000 0.000 0.667 1
Tc2 0.000 0.500 0.167 1
Tc3 0.500 0.000 0.829 1
Tc4 0.500 0.500 0.329 1
```

Calculated values
The density comes out at 8.61 g/cm³.

3) Material: ZrNbTc
Method: DFT, GGA-PBE
State: optimized geometry

```
data_ZrNbTc
_chemical_formula_sum 'Zr4 Nb4 Tc4'
_cell_length_a 5.385
_cell_length_b 5.589
_cell_length_c 7.503
_cell_angle_alpha 90.00
_cell_angle_beta 90.00
_cell_angle_gamma 90.00
_space_group_name_H-M_alt 'P 1'
_space_group_IT_number 1
_space_group_name_Hall 'P 1'
loop_
_atom_site_label
_atom_site_fract_x
_atom_site_fract_y
_atom_site_fract_z
_atom_site_occupancy
Zr1 0.000 0.250 0.120 1
Zr2 0.000 0.750 0.880 1
Zr3 0.500 0.250 0.380 1
Zr4 0.500 0.750 0.620 1
Nb1 0.000 0.000 0.500 1
Nb2 0.000 0.500 0.500 1
Nb3 0.500 0.000 0.000 1
Nb4 0.500 0.500 0.000 1
Tc1 0.250 0.250 0.750 1
Tc2 0.250 0.750 0.250 1
Tc3 0.750 0.250 0.750 1
Tc4 0.750 0.750 0.250 1
```

Calculated values
The density comes out at 8.30 g/cm³.

4) Material: ZrNbTc
Method: DFT, GGA-PBE
State: optimized geometry

```
data_ZrNbTc
_chemical_formula_sum 'Zr2 Nb2 Tc2'
_cell_length_a 4.461
_cell_length_b 4.461
_cell_length_c 6.328
_cell_angle_alpha 90.00
_cell_angle_beta 90.00
_cell_angle_gamma 90.00
_space_group_name_H-M_alt 'P 1'
_space_group_IT_number 1
_space_group_name_Hall 'P 1'
loop_
_atom_site_label
_atom_site_fract_x
_atom_site_fract_y
_atom_site_fract_z
_atom_site_occupancy
Zr1 0.000 0.000 0.000 1
Zr2 0.500 0.500 0.500 1
Nb1 0.000 0.000 0.500 1
Nb2 0.500 0.500 0.000 1
Tc1 0.000 0.500 0.250 1
Tc2 0.500 0.000 0.750 1
```

Calculated values
The density comes out at 7.44 g/cm³.

Quick one: most stable of them? 3)

1) Material: ZrNb3Tc
Method: DFT, GGA-PBE
State: optimized geometry

```
data_ZrNb3Tc
>>>
-- Work order --
Type out the listing above without altering anything.
-- Response --
one.
The following is a DFT calculation (PBE) of a relaxed ScB2F crystal.

Calculated values
For the spin magnetization, the calculation gives 0.000 μB/atom. The space group is I-42d (122).

a = 7.777 Å, b = 7.777 Å, c = 5.790 Å
α = 47.81°, β = 47.81°, γ = 90.00°
Sites, in units of the cell vectors:
Sc (0.000, 0.000, 0.000)
Sc (0.750, 0.250, 0.500)
B (0.635, 0.125, 0.250)
B (0.115, 0.625, 0.250)
B (0.375, 0.365, 0.750)
B (0.875, 0.885, 0.750)
F (0.500, 0.500, 0.000)
F (0.250, 0.750, 0.500)



two.
The following is a DFT calculation (PBE) of a relaxed ScB2F crystal.

Calculated values
For the spin magnetization, the calculation gives 0.000 μB/atom. The space group is Fm-3m (225).

a = 4.082 Å, b = 4.082 Å, c = 4.082 Å
α = 60.00°, β = 60.00°, γ = 60.00°
Sites, in units of the cell vectors:
Sc (0.500, 0.500, 0.500)
B (0.250, 0.250, 0.250)
B (0.750, 0.750, 0.750)
F (0.000, 0.000, 0.000)



Most stable to least stable, the ends of the list are one and two.

* * * * *

1) Material: ZrNbTc
Method: DFT, GGA-PBE
State: optimized geometry

```
data_ZrNbTc
_chemical_formula_sum 'Zr2 Nb2 Tc2'
_cell_length_a 7.481
_cell_length_b 7.481
_cell_length_c 7.481
_cell_angle_alpha 34.32
_cell_angle_beta 34.32
_cell_angle_gamma 34.32
_space_group_name_H-M_alt 'P 1'
_space_group_IT_number 1
_space_group_name_Hall 'P 1'
loop_
_atom_site_label
_atom_site_fract_x
_atom_site_fract_y
_atom_site_fract_z
_atom_site_occupancy
Zr1 0.211 0.211 0.211 1
Zr2 0.789 0.789 0.789 1
Nb1 0.365 0.365 0.365 1
Nb2 0.635 0.635 0.635 1
Tc1 0.066 0.066 0.066 1
Tc2 0.934 0.934 0.934 1
```

Calculated values
The density comes out at 7.89 g/cm³.

2) Material: ZrNbTc
Method: DFT, GGA-PBE
State: optimized geometry

```
data_ZrNbTc
_chemical_formula_sum 'Zr4 Nb4 Tc4'
_cell_length_a 4.728
_cell_length_b 3.283
_cell_length_c 14.028
_cell_angle_alpha 90.00
_cell_angle_beta 90.00
_cell_angle_gamma 90.00
_space_group_name_H-M_alt 'P 1'
_space_group_IT_number 1
_space_group_name_Hall 'P 1'
loop_
_atom_site_label
_atom_site_fract_x
_atom_site_fract_y
_atom_site_fract_z
_atom_site_occupancy
Zr1 0.000 0.000 0.000 1
Zr2 0.000 0.500 0.500 1
Zr3 0.500 0.000 0.165 1
Zr4 0.500 0.500 0.665 1
Nb1 0.000 0.000 0.320 1
Nb2 0.000 0.500 0.820 1
Nb3 0.500 0.000 0.478 1
Nb4 0.500 0.500 0.978 1
Tc1 0.000 0.000 0.667 1
Tc2 0.000 0.500 0.167 1
Tc3 0.500 0.000 0.829 1
Tc4 0.500 0.500 0.329 1
```

Calculated values
The density comes out at 8.61 g/cm³.

3) Material: ZrNbTc
Method: DFT, GGA-PBE
State: optimized geometry

```
data_ZrNbTc
_chemical_formula_sum 'Zr4 Nb4 Tc4'
_cell_length_a 5.385
_cell_length_b 5.589
_cell_length_c 7.503
_cell_angle_alpha 90.00
_cell_angle_beta 90.00
_cell_angle_gamma 90.00
_space_group_name_H-M_alt 'P 1'
_space_group_IT_number 1
_space_group_name_Hall 'P 1'
loop_
_atom_site_label
_atom_site_fract_x
_atom_site_fract_y
_atom_site_fract_z
_atom_site_occupancy
Zr1 0.000 0.250 0.120 1
Zr2 0.000 0.750 0.880 1
Zr3 0.500 0.250 0.380 1
Zr4 0.500 0.750 0.620 1
Nb1 0.000 0.000 0.500 1
Nb2 0.000 0.500 0.500 1
Nb3 0.500 0.000 0.000 1
Nb4 0.500 0.500 0.000 1
Tc1 0.250 0.250 0.750 1
Tc2 0.250 0.750 0.250 1
Tc3 0.750 0.250 0.750 1
Tc4 0.750 0.750 0.250 1
```

Calculated values
The density comes out at 8.30 g/cm³.

4) Material: ZrNbTc
Method: DFT, GGA-PBE
State: optimized geometry

```
data_ZrNbTc
_chemical_formula_sum 'Zr2 Nb2 Tc2'
_cell_length_a 4.461
_cell_length_b 4.461
_cell_length_c 6.328
_cell_angle_alpha 90.00
_cell_angle_beta 90.00
_cell_angle_gamma 90.00
_space_group_name_H-M_alt 'P 1'
_space_group_IT_number 1
_space_group_name_Hall 'P 1'
loop_
_atom_site_label
_atom_site_fract_x
_atom_site_fract_y
_atom_site_fract_z
_atom_site_occupancy
Zr1 0.000 0.000 0.000 1
Zr2 0.500 0.500 0.500 1
Nb1 0.000 0.000 0.500 1
Nb2 0.500 0.500 0.000 1
Tc1 0.000 0.500 0.250 1
Tc2 0.500 0.000 0.750 1
```

Calculated values
The density comes out at 7.44 g/cm³.

Quick one: most stable of them? 3)

1) Material: ZrNb3Tc
Method: DFT, GGA-PBE
State: optimized geometry

```
data_ZrNb3Tc